## Source
Below is an optimized crystal structure of CaNiMo, with properties calculated at the GGA-PBE level.

Energy of formation ... 208.6 meV per atom
Theoretical density ... 5.76 g/cm³

abc: 9.330 5.762 4.916
angles: 90.00 121.81 90.00
Space group Cm (No. 8)
Symmetry-distinct sites (fractional):
Ca 0.000 0.000 0.000 [2 per cell]
Ca 0.241 0.500 0.242 [2 per cell]
Ni 0.121 0.250 0.608 [4 per cell]
Mo 0.339 0.000 0.025 [2 per cell]
Mo 0.403 0.000 0.589 [2 per cell]


Entry 1:
This record from the Alexandria database describes a geometry-optimized Sm3TlGe structure. The functional is PBE.

Cell: 8.6891 11.0512 6.2573 Å, 90.00 90.00 90.00°
Closest atoms and distances in Å follow each position.
Fractional positions:
Sm 0.0445 0.2500 0.1233  2 Ge 2.89, 2 Tl 3.19-3.21
Sm 0.1771 0.0596 0.6160  2 Ge 2.93-2.97
Sm 0.1771 0.4404 0.6160  2 Ge 2.93-2.97
Sm 0.3229 0.5596 0.1160  2 Ge 2.93-2.97
Sm 0.3229 0.9404 0.1160  2 Ge 2.93-2.97
Sm 0.4555 0.7500 0.6233  2 Ge 2.89, 2 Tl 3.19-3.21
Sm 0.5445 0.2500 0.3767  2 Ge 2.89, 2 Tl 3.19-3.21
Sm 0.6771 0.0596 0.8840  2 Ge 2.93-2.97
Sm 0.6771 0.4404 0.8840  2 Ge 2.93-2.97
Sm 0.8229 0.5596 0.3840  2 Ge 2.93-2.97
Sm 0.8229 0.9404 0.3840  2 Ge 2.93-2.97
Sm 0.9555 0.7500 0.8767  2 Ge 2.89, 2 Tl 3.19-3.21
Tl 0.1167 0.7500 0.4179  6 Sm 3.19-3.35
Tl 0.3833 0.2500 0.9179  6 Sm 3.19-3.35
Tl 0.6167 0.7500 0.0821  6 Sm 3.19-3.35
Tl 0.8833 0.2500 0.5821  6 Sm 3.19-3.35
Ge 0.0000 0.0000 0.0000  6 Sm 2.89-2.97
Ge 0.0000 0.5000 0.0000  6 Sm 2.89-2.97
Ge 0.5000 0.0000 0.5000  6 Sm 2.89-2.97
Ge 0.5000 0.5000 0.5000  6 Sm 2.89-2.97

Summary:
Its space group is Pnma, No. 62. As for the energy: -4.69 eV/atom. For the formation enthalpy at 0 K, the calculation gives -462 meV per atom.

---

Entry 2:
This record from the Alexandria database describes a geometry-optimized KCr2Hg2 structure. The functional is PBE.

Cell: 8.5309 8.5309 2.9703 Å, 90.00 90.00 90.00°
Closest atoms and distances in Å follow each position.
Fractional positions:
K 0.0000 0.0000 0.0000  2 K 2.97, 4 Hg 3.07
K 0.5000 0.5000 0.0000  2 K 2.97, 4 Hg 3.07
Cr 0.0774 0.4226 0.5000  1 Cr 1.87
Cr 0.4226 0.9226 0.5000  1 Cr 1.87
Cr 0.5774 0.0774 0.5000  1 Cr 1.87
Cr 0.9226 0.5774 0.5000  1 Cr 1.87
Hg 0.2030 0.7030 0.0000  2 Hg 2.97, 6 Cr 3.01-3.04, 2 K 3.07
Hg 0.2970 0.2030 0.0000  2 Hg 2.97, 6 Cr 3.01-3.04, 2 K 3.07
Hg 0.7030 0.7970 0.0000  2 Hg 2.97, 6 Cr 3.01-3.04, 2 K 3.07
Hg 0.7970 0.2970 0.0000  2 Hg 2.97, 6 Cr 3.01-3.04, 2 K 3.07

Summary:
The value obtained for the polymorph energy (0 for the lowest one) is 114.5 meV per atom. Its space group is P4/mbm, No. 127. As for the energy: -3.54 eV/atom. For the formation enthalpy at 0 K, the calculation gives 650 meV per atom.

---

Entry 3:
This record from the Alexandria database describes a geometry-optimized CrCuSiPt structure. The functional is PBE.

Cell: 5.9864 5.9864 5.9864 Å, 90.00 90.00 90.00°
Closest atoms and distances in Å follow each position.
Fractional positions:
Cr 0.0000 0.0000 0.0000  4 Si 2.59, 4 Cu 2.59
Cr 0.0000 0.5000 0.5000  4 Si 2.59, 4 Cu 2.59
Cr 0.5000 0.0000 0.5000  4 Si 2.59, 4 Cu 2.59
Cr 0.5000 0.5000 0.0000  4 Si 2.59, 4 Cu 2.59
Cu 0.2500 0.2500 0.7500  4 Cr 2.59, 4 Pt 2.59
Cu 0.2500 0.7500 0.2500  4 Cr 2.59, 4 Pt 2.59
Cu 0.7500 0.2500 0.2500  4 Cr 2.59, 4 Pt 2.59
Cu 0.7500 0.7500 0.7500  4 Cr 2.59, 4 Pt 2.59
Si 0.2500 0.2500 0.2500  4 Cr 2.59, 4 Pt 2.59
Si 0.2500 0.7500 0.7500  4 Cr 2.59, 4 Pt 2.59
Si 0.7500 0.2500 0.7500  4 Cr 2.59, 4 Pt 2.59
Si 0.7500 0.7500 0.2500  4 Cr 2.59, 4 Pt 2.59
Pt 0.0000 0.0000 0.5000  4 Cu 2.59, 4 Si 2.59
Pt 0.0000 0.5000 0.0000  4 Cu 2.59, 4 Si 2.59
Pt 0.5000 0.0000 0.0000  4 Cu 2.59, 4 Si 2.59
Pt 0.5000 0.5000 0.5000  4 Cu 2.59, 4 Si 2.59

Summary:
Its space group is F-43m, No. 216. As for the energy: -6.51 eV/atom. The calculation puts the formation energy without anion corrections at -0.2108 eV per atom.

---

Entry 4:
This record from the Alexandria database describes a geometry-optimized AlAgAu5 structure. The functional is PBE.

## Exercise
Now find the line earlier on that holds "0.9179", then type out that line and all lines after it there.

## Outcome
Tl 0.3833 0.2500 0.9179  6 Sm 3.19-3.35
Tl 0.6167 0.7500 0.0821  6 Sm 3.19-3.35
Tl 0.8833 0.2500 0.5821  6 Sm 3.19-3.35
Ge 0.0000 0.0000 0.0000  6 Sm 2.89-2.97
Ge 0.0000 0.5000 0.0000  6 Sm 2.89-2.97
Ge 0.5000 0.0000 0.5000  6 Sm 2.89-2.97
Ge 0.5000 0.5000 0.5000  6 Sm 2.89-2.97

Summary:
Its space group is Pnma, No. 62. As for the energy: -4.69 eV/atom. For the formation enthalpy at 0 K, the calculation gives -462 meV per atom.

---

Entry 2:
This record from the Alexandria database describes a geometry-optimized KCr2Hg2 structure. The functional is PBE.

Cell: 8.5309 8.5309 2.9703 Å, 90.00 90.00 90.00°
Closest atoms and distances in Å follow each position.
Fractional positions:
K 0.0000 0.0000 0.0000  2 K 2.97, 4 Hg 3.07
K 0.5000 0.5000 0.0000  2 K 2.97, 4 Hg 3.07
Cr 0.0774 0.4226 0.5000  1 Cr 1.87
Cr 0.4226 0.9226 0.5000  1 Cr 1.87
Cr 0.5774 0.0774 0.5000  1 Cr 1.87
Cr 0.9226 0.5774 0.5000  1 Cr 1.87
Hg 0.2030 0.7030 0.0000  2 Hg 2.97, 6 Cr 3.01-3.04, 2 K 3.07
Hg 0.2970 0.2030 0.0000  2 Hg 2.97, 6 Cr 3.01-3.04, 2 K 3.07
Hg 0.7030 0.7970 0.0000  2 Hg 2.97, 6 Cr 3.01-3.04, 2 K 3.07
Hg 0.7970 0.2970 0.0000  2 Hg 2.97, 6 Cr 3.01-3.04, 2 K 3.07

Summary:
The value obtained for the polymorph energy (0 for the lowest one) is 114.5 meV per atom. Its space group is P4/mbm, No. 127. As for the energy: -3.54 eV/atom. For the formation enthalpy at 0 K, the calculation gives 650 meV per atom.

---

Entry 3:
This record from the Alexandria database describes a geometry-optimized CrCuSiPt structure. The functional is PBE.

Cell: 5.9864 5.9864 5.9864 Å, 90.00 90.00 90.00°
Closest atoms and distances in Å follow each position.
Fractional positions:
Cr 0.0000 0.0000 0.0000  4 Si 2.59, 4 Cu 2.59
Cr 0.0000 0.5000 0.5000  4 Si 2.59, 4 Cu 2.59
Cr 0.5000 0.0000 0.5000  4 Si 2.59, 4 Cu 2.59
Cr 0.5000 0.5000 0.0000  4 Si 2.59, 4 Cu 2.59
Cu 0.2500 0.2500 0.7500  4 Cr 2.59, 4 Pt 2.59
Cu 0.2500 0.7500 0.2500  4 Cr 2.59, 4 Pt 2.59
Cu 0.7500 0.2500 0.2500  4 Cr 2.59, 4 Pt 2.59
Cu 0.7500 0.7500 0.7500  4 Cr 2.59, 4 Pt 2.59
Si 0.2500 0.2500 0.2500  4 Cr 2.59, 4 Pt 2.59
Si 0.2500 0.7500 0.7500  4 Cr 2.59, 4 Pt 2.59
Si 0.7500 0.2500 0.7500  4 Cr 2.59, 4 Pt 2.59
Si 0.7500 0.7500 0.2500  4 Cr 2.59, 4 Pt 2.59
Pt 0.0000 0.0000 0.5000  4 Cu 2.59, 4 Si 2.59
Pt 0.0000 0.5000 0.0000  4 Cu 2.59, 4 Si 2.59
Pt 0.5000 0.0000 0.0000  4 Cu 2.59, 4 Si 2.59
Pt 0.5000 0.5000 0.5000  4 Cu 2.59, 4 Si 2.59

Summary:
Its space group is F-43m, No. 216. As for the energy: -6.51 eV/atom. The calculation puts the formation energy without anion corrections at -0.2108 eV per atom.

---

Entry 4:
This record from the Alexandria database describes a geometry-optimized AlAgAu5 structure. The functional is PBE.